Patti's Preschool Newsletter, June 2017

We’re starting the month of June by exploring the world of creative art. Watch for some amazing creations by your Lil’ Picasso. John Abrams will bring his Animal Magic Show (with live exotic pets!) to school on Wednesday, June 7, at 10:30 a.m. Our theme at the end of the month will be America the Beautiful. We’ll show our patriotism during the week of June 26 with lots of fun crafts including handmade flags and hats! On Wednesday, June 28, musician Dan Crow will be here to perform a “Patriotic Sing Along.” We’re looking forward to a visit from our favorite puppeteer, Franklin Haynes, on Thursday, June 29 who will be presenting “Frankie’s 4th of July” marionette show. We’ve attached a copy of our summer themes so take a look at all the exciting events we have planned!
Scholastic book orders are due on Friday morning, June 9. This will be our last book order for the school year and we’ll offer them again starting next September. Please make book order checks out to Patti’s Preschool or you can easily order online using our class code GW3RF.

'''
For LiV2F5, a PBE+U-relaxed structure gives the calculated X-ray powder pattern in this record (Cu Kα (λ = 1.5418 Å)).
Kinematic intensities with the Lorentz-polarization factor, no thermal factor.

Largest 12 diffraction maxima, by intensity, 5 to 70 degrees two-theta:
2θ/deg	I/Imax
18.99	100
25.07	38
50.71	30
33.42	30
49.50	26
60.88	22
49.30	21
38.41	20
38.21	20
39.27	19
24.36	18
36.45	17

Structure:
abc: 5.994 5.994 7.745
angles: 110.93 110.93 52.55
Element x y z (fractional)
Li (0.000, 0.000, 0.000)
Li (0.000, 0.000, 0.500)
V (0.371, 0.382, 0.786)
V (0.382, 0.371, 0.286)
V (0.618, 0.629, 0.714)
V (0.629, 0.618, 0.214)
F (0.038, 0.331, 0.150)
F (0.208, 0.792, 0.250)
F (0.258, 0.578, 0.556)
F (0.331, 0.038, 0.650)
F (0.422, 0.742, 0.944)
F (0.578, 0.258, 0.056)
F (0.669, 0.962, 0.350)
F (0.742, 0.422, 0.444)
F (0.792, 0.208, 0.750)
F (0.962, 0.669, 0.850)
'''
The piece goes on >
Celebrating birthdays this month are Hattie, Scarlett B., Katia, Hudson G., James, Noa, Sean, Isabella, Egan, Klarissa, Arjan, Jax, Drake, Garrett, and Parker. Our Spanish teacher, Lietta, is also celebrating her birthday this month. We hope everyone has a very special day!
Amy Prieto & Gianna DiGiovanni are celebrating their anniversaries this month! Please let them know you appreciate their hard work!
/*
Theoretical X-ray powder pattern
Compound: BeZnCuBi2
Radiation: CuKα
Structure: a crystal structure in Alexandria, relaxed with GGA-PBE
Kinematic intensities with the Lorentz-polarization factor, no thermal factor.

Structural model:
```
5
Lattice="5.1527 0.0000 0.0000 0.0000 5.1527 0.0000 0.0000 0.0000 4.2535" Properties=species:S:1:pos:R:3 pbc="T T T"
Be 0.0000 0.0000 0.0000
Zn 0.0000 0.0000 2.1268
Cu 2.5763 2.5763 2.1268
Bi 0.0000 2.5763 0.0000
Bi 2.5763 0.0000 0.0000
```

Peak list (6 most intense, 2θ = 10–90°, in order of rising 2θ)
(0 0 1), 20.88°, d = 4.254 Å, rel. 18; (1 1 0), 24.43°, d = 3.644 Å, rel. 23; (1 1 1), 32.35°, d = 2.767 Å, rel. 100; (2 0 0), 34.82°, d = 2.576 Å, rel. 43; (2 0 2), 56.07°, d = 1.640 Å, rel. 22; (3 1 1), 60.88°, d = 1.522 Å, rel. 33

----------

Entry 1:
Simulated X-ray powder pattern of Sc2Ta for CuKα, from the PBE geometry in Alexandria.
Neutral-atom scattering factors, no anomalous dispersion.

Structure:
```
Sc2Ta
1.0
3.0481 0.0000 0.0000
0.0000 4.9148 0.0000
0.0000 0.0000 8.4959
Sc Ta
4 2
Cartesian
0.0000 0.0000 0.0000
0.0000 0.0000 2.8252
0.0000 2.4574 6.8451
1.5240 0.0000 5.5943
1.5240 2.4574 1.2810
1.5240 2.4574 4.0321
```

Principal peaks in the range 5 to 70 degrees two-theta, by intensity:
2theta, d (Å), I/Imax, h k l
36.60, 2.455, 1000, 0 2 0
36.26, 2.477, 568, 1 1 1
18.05, 4.915, 469, 0 1 0
10.41, 8.496, 448, 0 0 1
34.63, 2.590, 351, 1 1 0
47.56, 1.912, 258, 1 1 3
20.89, 4.253, 255, 0 1 1
65.67, 1.422, 193, 1 2 4
52.48, 1.744, 191, 1 0 4
43.63, 2.075, 181, 1 0 3
58.20, 1.585, 156, 1 2 3
29.30, 3.048, 150, 1 0 0



Entry 2:
Simulated X-ray powder pattern of ScTa2W for CuKα, from the PBE geometry in Alexandria.
Neutral-atom scattering factors, no anomalous dispersion.

Structure:
```
ScTa2W
1.0
2.8356 0.0000 0.0000
0.0000 4.6863 0.0000
-1.0023 0.0000 5.5044
Sc Ta W
1 2 1
Cartesian
0.0000 0.0000 0.0000
0.7352 0.0000 2.8211
1.7337 2.3431 1.4300
-0.0790 2.3431 4.1006
```

Principal peaks in the range 5 to 70 degrees two-theta, by intensity:
2theta, d (Å), I/Imax, h k l
37.91, 2.373, 1000, 0 1 2
38.59, 2.333, 931, 1 1 -1
38.42, 2.343, 487, 0 2 0
38.71, 2.326, 473, 1 0 1
69.12, 1.359, 346, 1 1 3
55.68, 1.651, 330, 1 2 1
16.10, 5.504, 266, 0 0 1
68.85, 1.364, 169, 1 2 -3
69.59, 1.351, 165, 1 3 -1
54.73, 1.677, 163, 1 0 -3
18.94, 4.686, 151, 0 1 0
24.95, 3.568, 117, 0 1 1



Entry 3:
Simulated X-ray powder pattern of ZrScTa for CuKα, from the PBE geometry in Alexandria.
Neutral-atom scattering factors, no anomalous dispersion.

Structure:
```
ZrScTa
1.0
5.8482 0.0000 0.0000
0.0000 5.5678 0.0000
0.0000 0.0000 7.9948
Zr Sc Ta
4 4 4
Cartesian
1.4620 0.5325 0.0000
1.4620 2.2514 3.9974
4.3861 3.3164 3.9974
4.3861 5.0353 0.0000
1.4620 3.3192 1.1714
1.4620 5.0326 5.1688
4.3861 0.5353 5.1688
4.3861 2.2487 1.1714
0.0000 0.0000 2.5494
0.0000 2.7839 6.5468
2.9241 0.0000 2.5494
2.9241 2.7839 6.5468
```
*/
Please join in the fun on Saturday, June 17, 9:00 a.m. to 12:00 p.m., for the Walk the Farm event at Tanaka Farms in Irvine. Help raise money for the Japanese farmers whose farms were destroyed in the 2011 earthquake. Patti’s Preschool made a donation to be a Crop Sponsor so remember to look for our sign in one of the fields! Please click here for more information.
Many, many thanks to all the thoughtful parents who treated us to so many yummy doughnuts, coffee, tacos, fabulous gifts, flowers, and cards during Teacher Appreciation Week. You made it a special week for all of us at Patti’s Preschool!
Data records that have nothing to do with the entry:
- - -
For AgPbF6, the PBE geometry in the Materials Project gives the theoretical X-ray powder pattern in this record (CuKα).
Neutral-atom scattering factors, no anomalous dispersion.

Structure:
Cell: 5.571 5.618 5.924 Å, 63.16 89.40 62.09°
Element x y z (fractional)
1 Ag 0.000 0.000 0.000
2 Pb 0.500 0.000 0.500
3 F 0.137 0.111 0.256
4 F 0.246 0.130 0.748
5 F 0.395 0.459 0.274
6 F 0.605 0.541 0.726
7 F 0.754 0.870 0.252
8 F 0.863 0.889 0.744

Most intense lines, 10° ≤ 2θ ≤ 90°, sorted by position:
| index | Position (°2θ) | I_rel |
| --- | --- | --- |
| 0 1 0 | 20.7 | 100 |
| 1 1 1 | 21.9 | 86 |
| 1 0 -1 | 22.0 | 86 |
| 1 0 1 | 28.7 | 37 |
| 1 1 -1 | 29.8 | 31 |
| 0 1 2 | 30.3 | 31 |
| -1 1 1 | 31.1 | 24 |
| 1 2 1 | 31.9 | 19 |
| 2 1 0 | 32.2 | 20 |
| 0 2 0 | 42.2 | 18 |
| 1 2 3 | 49.1 | 25 |
| 3 0 -1 | 56.2 | 16 |


# Li3MnSb4O12
Simulated powder X-ray diffraction pattern, CuKα. Input: a cell relaxed with PBE+U.

Main lines, by angle (10 to 90 degrees two-theta):
3.844 Å, intensity 100.0, hkl 1 1 0
2.785 Å, intensity 55.6, hkl 1 1 2
2.655 Å, intensity 40.2, hkl 2 0 0
2.185 Å, intensity 14.3, hkl 2 0 -2
1.923 Å, intensity 16.9, hkl 2 2 0
1.753 Å, intensity 32.0, hkl 1 3 0
1.687 Å, intensity 13.8, hkl 3 1 0
1.636 Å, intensity 9.5, hkl 0 2 4
1.557 Å, intensity 20.9, hkl 3 1 2
1.533 Å, intensity 15.9, hkl 3 1 -2

Structural model:
```
Li3MnSb4O12
1.0
5.3073 0.0000 0.0000
0.0039 5.5817 0.0000
0.0042 0.5327 7.6965
Li Mn Sb O
3 1 4 12
Direct
0.0000 0.0000 0.0000
0.0000 0.0036 0.4980
0.4969 0.5137 0.0022
0.4982 0.5054 0.4947
0.4992 0.9451 0.2094
0.5011 0.9360 0.7199
0.9964 0.4362 0.2090
0.9985 0.4320 0.7219
0.1323 0.4106 0.9641
0.1758 0.1132 0.2675
0.1999 0.7280 0.6373
0.3005 0.2313 0.6398
0.3195 0.6137 0.2603
0.3671 0.9110 0.9634
0.6228 0.9067 0.4611
0.6692 0.6007 0.7633
- - -

We will be closed on Friday, June 23, for Teacher Prep Day. We will be busy getting ready for our summer session which begins on Monday, June 26. Your child will move to his/her new classroom on that day. Our summer rosters will be posted in front of the school on Monday, June 19. Please remember that your child will be in the new class for the summer and then move up again in September.
We’d like to introduce you to two of our substitute teachers, Catherine Garay and Sandrae Ashurst. You might see Catherine or Sandrae in your child’s classroom as they will be filling in for teachers during their summer vacations. We trust your child will be in good hands with Catherine and Sandrae!
Thank you to Teresa Comins for the CD player donation for Room 2. We love all the toys Lorrie Nickols gave to us. The magnetic letters Brinda Singh brought in are big hit in the classroom. Jenny Sullivan donated books, toys, and a pony castle that our students are very excited about. We love the cars, dress-up clothes, and kinetic sand that Erica Zuniga gave to us. We appreciate all the thoughtful donations!
New carpet will be installed in Rooms 1, 2, and 5 on Saturday, June 17. Maintaining our facility is important to us and we know the children will enjoy playing on the brand new carpet!
We love our Patti’s Preschool dads so we’d like to wish all of you a very happy Father’s Day!